Job:
Your job: set down everything underneath with every line break kept.
Entries:
+++
Computed, not measured: a relaxed Li5Co3O8 crystal at the PBE with a Hubbard U level of DFT.

a = 4.9148 Å, b = 5.0105 Å, c = 5.6960 Å
α = 73.08°, β = 89.69°, γ = 80.12°
With the nearest neighbours (Å) after each atom.
Positions (direct):
Li  0.0000  0.0000  0.0000  6 O 2.04-2.05
Li  0.2363  0.4968  0.8800  6 O 2.03-2.18
Li  0.2436  0.5028  0.3694  6 O 2.02-2.15
Li  0.7564  0.4972  0.6306  6 O 2.02-2.15
Li  0.7637  0.5032  0.1200  6 O 2.03-2.18
Co  0.0000  0.0000  0.5000  6 O 1.93-1.94
Co  0.4952  0.9989  0.7536  6 O 1.86-1.95
Co  0.5048  0.0011  0.2464  6 O 1.86-1.95
O  0.1421  0.2262  0.2039  2 Co 1.91-1.94, 4 Li 2.02-2.09
O  0.1463  0.2214  0.6790  2 Co 1.86-1.93, 2 Li 2.03-2.04
O  0.3703  0.7839  0.5519  3 Co 1.93-1.95, 2 Li 2.14-2.15
O  0.3971  0.7767  0.0534  2 Co 1.86-1.92, 2 Li 2.03-2.05
O  0.6029  0.2233  0.9466  2 Co 1.86-1.92, 2 Li 2.03-2.05
O  0.6297  0.2161  0.4481  3 Co 1.93-1.95, 2 Li 2.14-2.15
O  0.8537  0.7786  0.3210  2 Co 1.86-1.93, 2 Li 2.03-2.04
O  0.8579  0.7738  0.7961  2 Co 1.91-1.94, 4 Li 2.02-2.09

Results
The formation energy comes out at -1.720 eV/atom. The crystal system is triclinic. The calculation puts the spin magnetization at 0.03 μB/f.u.

=====

Computed, not measured: a relaxed CoH32C8S4N2O10 crystal at the PBE with a Hubbard U level of DFT.

a = 9.8925 Å, b = 12.5565 Å, c = 13.1004 Å
α = 90.00°, β = 121.63°, γ = 90.00°
With the nearest neighbours (Å) after each atom.
Positions (direct):
Co  0.0000  0.0000  0.0000  2 O 2.22, 2 S 2.26
Co  0.0000  0.5000  0.5000  2 O 2.22, 2 S 2.26
H  0.0154  0.2106  0.9878  1 O 1.03
H  0.0154  0.2894  0.4878  1 O 1.03
H  0.1195  0.6379  0.4183  1 O 1.02
H  0.1195  0.8621  0.9183  1 O 1.02
H  0.1210  0.6057  0.0838  1 C 1.09
H  0.1210  0.8943  0.5838  1 C 1.09
H  0.1530  0.1444  0.8564  1 O 1.13
H  0.1530  0.3556  0.3564  1 O 1.13
H  0.1707  0.0200  0.6626  1 C 1.09
H  0.1707  0.4800  0.1626  1 C 1.09
H  0.1807  0.0060  0.5298  1 C 1.10
H  0.1807  0.4940  0.0298  1 C 1.10
H  0.2215  0.2306  0.4659  1 O 1.02
H  0.2215  0.2694  0.9659  1 O 1.02
H  0.3138  0.6993  0.2631  1 C 1.10
H  0.3138  0.8007  0.7631  1 C 1.10
H  0.3283  0.7113  0.0850  1 C 1.10
H  0.3283  0.7887  0.5850  1 C 1.10
H  0.3566  0.5757  0.3429  1 C 1.10
H  0.3566  0.9243  0.8429  1 C 1.10
H  0.3870  0.5978  0.0344  1 C 1.10
H  0.3870  0.9022  0.5344  1 C 1.10
H  0.4056  0.0006  0.2142  1 C 1.10
H  0.4056  0.4994  0.7142  1 C 1.10
H  0.4350  0.0787  0.7728  1 C 1.10
H  0.4350  0.4213  0.2728  1 C 1.10
H  0.4560  0.0656  0.6451  1 C 1.10
H  0.4560  0.4344  0.1451  1 C 1.10
H  0.4683  0.1644  0.3301  1 C 1.09
H  0.4683  0.3356  0.8301  1 C 1.09
H  0.4830  0.1485  0.1506  1 C 1.10
H  0.4830  0.3515  0.6506  1 C 1.10
H  0.5170  0.6485  0.3494  1 C 1.10
H  0.5170  0.8515  0.8494  1 C 1.10
H  0.5317  0.6644  0.1699  1 C 1.09
H  0.5317  0.8356  0.6699  1 C 1.09
H  0.5440  0.5656  0.8549  1 C 1.10
H  0.5440  0.9344  0.3549  1 C 1.10
H  0.5650  0.5787  0.7272  1 C 1.10
H  0.5650  0.9213  0.2272  1 C 1.10
H  0.5944  0.5006  0.2858  1 C 1.10
H  0.5944  0.9994  0.7858  1 C 1.10
H  0.6130  0.0978  0.4656  1 C 1.10
H  0.6130  0.4022  0.9656  1 C 1.10
H  0.6434  0.0757  0.1571  1 C 1.10
H  0.6434  0.4243  0.6571  1 C 1.10
H  0.6717  0.2113  0.4150  1 C 1.10
H  0.6717  0.2887  0.9150  1 C 1.10
H  0.6862  0.1993  0.2369  1 C 1.10
H  0.6862  0.3007  0.7369  1 C 1.10
H  0.7785  0.7306  0.0341  1 O 1.02
H  0.7785  0.7694  0.5341  1 O 1.02
H  0.8193  0.5060  0.9702  1 C 1.10
H  0.8193  0.9940  0.4702  1 C 1.10
H  0.8293  0.5200  0.8374  1 C 1.09
H  0.8293  0.9800  0.3374  1 C 1.09
H  0.8470  0.6444  0.6436  1 O 1.13
H  0.8470  0.8556  0.1436  1 O 1.13
H  0.8790  0.1057  0.4162  1 C 1.09
H  0.8790  0.3943  0.9162  1 C 1.09
H  0.8805  0.1379  0.0817  1 O 1.02
H  0.8805  0.3621  0.5817  1 O 1.02
H  0.9846  0.7106  0.5122  1 O 1.03
H  0.9846  0.7894  0.0122  1 O 1.03
C  0.1957  0.5345  0.1093  3 H 1.09-1.10
C  0.1957  0.9655  0.6093  3 H 1.09-1.10
C  0.3904  0.6287  0.2934  3 H 1.10
C  0.3904  0.8713  0.7934  3 H 1.10
+++
Outcome:
Computed, not measured: a relaxed Li5Co3O8 crystal at the PBE with a Hubbard U level of DFT.

a = 4.9148 Å, b = 5.0105 Å, c = 5.6960 Å
α = 73.08°, β = 89.69°, γ = 80.12°
With the nearest neighbours (Å) after each atom.
Positions (direct):
Li  0.0000  0.0000  0.0000  6 O 2.04-2.05
Li  0.2363  0.4968  0.8800  6 O 2.03-2.18
Li  0.2436  0.5028  0.3694  6 O 2.02-2.15
Li  0.7564  0.4972  0.6306  6 O 2.02-2.15
Li  0.7637  0.5032  0.1200  6 O 2.03-2.18
Co  0.0000  0.0000  0.5000  6 O 1.93-1.94
Co  0.4952  0.9989  0.7536  6 O 1.86-1.95
Co  0.5048  0.0011  0.2464  6 O 1.86-1.95
O  0.1421  0.2262  0.2039  2 Co 1.91-1.94, 4 Li 2.02-2.09
O  0.1463  0.2214  0.6790  2 Co 1.86-1.93, 2 Li 2.03-2.04
O  0.3703  0.7839  0.5519  3 Co 1.93-1.95, 2 Li 2.14-2.15
O  0.3971  0.7767  0.0534  2 Co 1.86-1.92, 2 Li 2.03-2.05
O  0.6029  0.2233  0.9466  2 Co 1.86-1.92, 2 Li 2.03-2.05
O  0.6297  0.2161  0.4481  3 Co 1.93-1.95, 2 Li 2.14-2.15
O  0.8537  0.7786  0.3210  2 Co 1.86-1.93, 2 Li 2.03-2.04
O  0.8579  0.7738  0.7961  2 Co 1.91-1.94, 4 Li 2.02-2.09

Results
The formation energy comes out at -1.720 eV/atom. The crystal system is triclinic. The calculation puts the spin magnetization at 0.03 μB/f.u.

=====

Computed, not measured: a relaxed CoH32C8S4N2O10 crystal at the PBE with a Hubbard U level of DFT.

a = 9.8925 Å, b = 12.5565 Å, c = 13.1004 Å
α = 90.00°, β = 121.63°, γ = 90.00°
With the nearest neighbours (Å) after each atom.
Positions (direct):
Co  0.0000  0.0000  0.0000  2 O 2.22, 2 S 2.26
Co  0.0000  0.5000  0.5000  2 O 2.22, 2 S 2.26
H  0.0154  0.2106  0.9878  1 O 1.03
H  0.0154  0.2894  0.4878  1 O 1.03
H  0.1195  0.6379  0.4183  1 O 1.02
H  0.1195  0.8621  0.9183  1 O 1.02
H  0.1210  0.6057  0.0838  1 C 1.09
H  0.1210  0.8943  0.5838  1 C 1.09
H  0.1530  0.1444  0.8564  1 O 1.13
H  0.1530  0.3556  0.3564  1 O 1.13
H  0.1707  0.0200  0.6626  1 C 1.09
H  0.1707  0.4800  0.1626  1 C 1.09
H  0.1807  0.0060  0.5298  1 C 1.10
H  0.1807  0.4940  0.0298  1 C 1.10
H  0.2215  0.2306  0.4659  1 O 1.02
H  0.2215  0.2694  0.9659  1 O 1.02
H  0.3138  0.6993  0.2631  1 C 1.10
H  0.3138  0.8007  0.7631  1 C 1.10
H  0.3283  0.7113  0.0850  1 C 1.10
H  0.3283  0.7887  0.5850  1 C 1.10
H  0.3566  0.5757  0.3429  1 C 1.10
H  0.3566  0.9243  0.8429  1 C 1.10
H  0.3870  0.5978  0.0344  1 C 1.10
H  0.3870  0.9022  0.5344  1 C 1.10
H  0.4056  0.0006  0.2142  1 C 1.10
H  0.4056  0.4994  0.7142  1 C 1.10
H  0.4350  0.0787  0.7728  1 C 1.10
H  0.4350  0.4213  0.2728  1 C 1.10
H  0.4560  0.0656  0.6451  1 C 1.10
H  0.4560  0.4344  0.1451  1 C 1.10
H  0.4683  0.1644  0.3301  1 C 1.09
H  0.4683  0.3356  0.8301  1 C 1.09
H  0.4830  0.1485  0.1506  1 C 1.10
H  0.4830  0.3515  0.6506  1 C 1.10
H  0.5170  0.6485  0.3494  1 C 1.10
H  0.5170  0.8515  0.8494  1 C 1.10
H  0.5317  0.6644  0.1699  1 C 1.09
H  0.5317  0.8356  0.6699  1 C 1.09
H  0.5440  0.5656  0.8549  1 C 1.10
H  0.5440  0.9344  0.3549  1 C 1.10
H  0.5650  0.5787  0.7272  1 C 1.10
H  0.5650  0.9213  0.2272  1 C 1.10
H  0.5944  0.5006  0.2858  1 C 1.10
H  0.5944  0.9994  0.7858  1 C 1.10
H  0.6130  0.0978  0.4656  1 C 1.10
H  0.6130  0.4022  0.9656  1 C 1.10
H  0.6434  0.0757  0.1571  1 C 1.10
H  0.6434  0.4243  0.6571  1 C 1.10
H  0.6717  0.2113  0.4150  1 C 1.10
H  0.6717  0.2887  0.9150  1 C 1.10
H  0.6862  0.1993  0.2369  1 C 1.10
H  0.6862  0.3007  0.7369  1 C 1.10
H  0.7785  0.7306  0.0341  1 O 1.02
H  0.7785  0.7694  0.5341  1 O 1.02
H  0.8193  0.5060  0.9702  1 C 1.10
H  0.8193  0.9940  0.4702  1 C 1.10
H  0.8293  0.5200  0.8374  1 C 1.09
H  0.8293  0.9800  0.3374  1 C 1.09
H  0.8470  0.6444  0.6436  1 O 1.13
H  0.8470  0.8556  0.1436  1 O 1.13
H  0.8790  0.1057  0.4162  1 C 1.09
H  0.8790  0.3943  0.9162  1 C 1.09
H  0.8805  0.1379  0.0817  1 O 1.02
H  0.8805  0.3621  0.5817  1 O 1.02
H  0.9846  0.7106  0.5122  1 O 1.03
H  0.9846  0.7894  0.0122  1 O 1.03
C  0.1957  0.5345  0.1093  3 H 1.09-1.10
C  0.1957  0.9655  0.6093  3 H 1.09-1.10
C  0.3904  0.6287  0.2934  3 H 1.10
C  0.3904  0.8713  0.7934  3 H 1.10